Appealing a Founded DHS Child Abuse Assessment in Iowa

In Iowa, the Department of Human Services (DHS) is responsible for investigating child abuse and neglect allegations.  Those who are found by Iowa DHS to have abused or neglected a child can have a “founded ” child abuse report filed against them, and have their name placed on Iowa’s Central Child Abuse Registry.  A founded child abuse report and Placement on Iowa’s child abuse registry can have a variety of negative consequences.  For that reason, many people wisely choose to appeal a DHS child abuse assessment.

As a preliminary matter, it is important to note that just because a person is accused by DHS of child abuse/neglect, it does not make the accusation true.  I have represented clients who have been accused by Iowa DHS of child abuse, only to have the report overturned during a DHS appeal.  I say that to note that DHS is not infallible.  Indeed, I believe that DHS is factually wrong on many of its reports, and that it does not properly follow the law and its own procedures in the process that its workers employ in many investigations.  Those facts can be quite helpful during the appeal process.

Someone pasted quantum chemistry results at this point =
- - -
Computed, not measured: one molecule with the formula C5H4FNS at a distorted geometry, with ωB97M-V/def2-TZVPD.

ORCA input file:
```
! wB97M-V def2-TZVPD RIJCOSX def2/J DEFGRID3
* xyz 0 1
C 1.82 -1.81 -0.05
C 1.05 -0.87 -0.01
C 0.33 0.41 0.03
N 1.09 1.54 0.04
C -1.01 0.50 0.01
F -1.48 1.77 -0.01
C -1.94 -0.61 0.12
S -3.57 -0.50 -0.04
H 2.43 -2.68 0.03
H 2.06 1.42 -0.12
H 0.63 2.42 -0.15
H -1.41 -1.59 0.16
*
```

**E_HOMO**: -8.415 eV
**SMILES string**: C#C/C(N)=C(/F)C=S
**Frontier orbital gap**: 7.8 eV
**E**: -20289.7352 eV

Computed, not measured: C5H4FeNO5 as an isolated structure at a distorted geometry, with ωB97M-V/def2-TZVPD.

ORCA input file:
```
! wB97M-V def2-TZVPD RIJCOSX def2/J DEFGRID3
* xyz 2 6
O -0.11 6.39 0.08
C 0.05 5.45 0.71
Fe 0.46 0.47 0.21
C 0.46 -2.52 -1.50
O 0.87 -3.67 -1.57
C -0.81 -1.96 -2.09
O -1.56 -2.33 -2.96
C 1.32 -1.42 -0.80
O 2.51 -1.40 -0.75
C -1.17 -0.74 -1.11
O -2.28 -0.49 -0.75
H 1.42 1.56 0.70
N -0.20 0.22 2.20
H 0.49 -0.31 2.73
H -1.07 -0.33 2.19
H -0.38 1.08 2.72
*
```

**E_HOMO (alpha / beta)**: -18.154 / -18.151 eV
**Frontier orbital gap (alpha / beta)**: 6.0 / 5.5 eV
**<S²>**: 9.227
**E**: -51337.4840 eV

Computed, not measured: C5H4I2 as an isolated structure at a distorted geometry, with ωB97M-V/def2-TZVPD.

ORCA input file:
```
! wB97M-V def2-TZVPD RIJCOSX def2/J DEFGRID3
* xyz 0 1
C 0.84 -1.57 -0.19
C 2.20 -1.37 -0.53
C -0.16 1.45 0.62
C -0.81 2.32 0.15
C -0.38 -1.52 0.08
I -3.46 1.43 0.20
I -2.25 -2.19 0.17
H 2.16 -1.02 -1.56
H 2.90 -1.39 0.25
H 0.21 0.81 1.34
H -1.26 3.06 -0.54
*
```

**E_HOMO (alpha / beta)**: -9.106 / -8.152 eV
**Frontier orbital gap (alpha / beta)**: 7.9 / 5.7 eV
**E**: -21443.9503 eV

Computed, not measured: a 2-piece molecular cluster, C5H4I2OS overall at a distorted geometry, with ωB97M-V/def2-TZVPD.

ORCA input file:
```
! wB97M-V def2-TZVPD RIJCOSX def2/J DEFGRID3
* xyz 0 1
O -2.27 0.72 -0.46
C -1.20 1.19 -0.22
I -1.07 3.29 0.29
C -0.03 0.44 -0.10
C 1.27 0.87 0.18
C 2.22 -0.14 0.23
C 1.73 -1.34 -0.16
S 0.06 -1.26 -0.50
H 1.42 1.77 0.58
H 3.25 -0.09 0.37
H 2.40 -2.19 -0.27
I -3.69 -2.36 -0.29
H -4.10 -0.91 0.36
*
```

**E_HOMO**: -9.561 eV
**SMILES string**: O=C(I)c1cccs1.I
**Frontier orbital gap**: 8.9 eV
**E**: -34332.9460 eV
- - -

Once the DHS report is completed, an appeal must be timely filed.  The appeal will go to the Department of Inspections and Appeals in Des Moines, IA.  Failing to timely file the appeal results in the loss of the ability to proceed with the appeal.  As such, it is critical that the appeal be filed on time.

Next, there is a telephone pre-hearing conference, where scheduling an  administrative matters are handled. Sometimes there is just a single pre-hearing conference, and in other cases (such as where there are pending criminal charges, a pending CINA case, or other considerations that make the case more complex) there many be multiple pre-hearing conferences over the phone.  These phone conferences are usually brief, but are an important part of the process that must be attended so as to avoid a dismissal of the appeal.

See also  Dealing with DHS (in Iowa) and DCFS (in Illinois)

The appeal hearing itself can be done over the phone, or in person (in Des Moines, IA).  Having done many such hearings, I generally prefer the telephone option, as it tends to be easier for my clients.  Avoiding the need to travel to Des Moines for the hearing is also a plus, especially since most clients do not live in Des Moines themselves and would be unnecessarily burdened by the travel.  It has been my experience that doing the appeal hearing by phone does not cause a disadvantage (and DHS usually appears by phone as well).

During the Iowa DHS appeal hearing itself, evidence is presented by DHS to try and persuade the Administrative Law Judge (ALJ) who presides over the hearing that DHS’s report is correct.  Our goal is to refute that version of events and persuade the ALJ that DHS’s child abuse assessment and/or placement on the Iowa child abuse registry is incorrect and should be oveturned.  Evidence and witnesses, which have to be timely disclosed before the hearing, are presented by both sides.  The rules for admissibility of evidence are similar, but not identical, to the rules that would apply in the Iowa District Court for a civil case.  That means that proper preparation before the hearing is vital.

In the event that desired outcome is not achieved through the appeal to the Department of Inspections and Appeals, then an appeal to the Iowa District Court can be taken.  While such appeals are rarer than appeals to the Department of Inspections and Appeals, they can be a useful tool in some cases.

See also  Appealing a Criminal Conviction in Iowa

As the foregoing makes clear, the Iowa DHS appeal process can be somewhat complex; however it is also a powerful tool that can be used to prevent an improper child abuse report from causing lasting problems for a person who is improperly accused.